HL Deb 24 January 1995 vol 560 cc968-70

2.47 p.m.

Lord Dormand of Easingtonasked Her Majesty's Government:

Whether they intend to change the law requiring daily religious worship in schools.

Lord Lucas

My Lords, Her Majesty's Government have no plans to change the law. The daily act of collective worship helps to establish a positive ethos in a school and makes an important contribution to pupils' spiritual and moral development. The existing legal requirements give schools considerable flexibility in the organisation and content of collective worship.

Lord Dormand of Easington

My Lords, does the Minister accept that most secondary schools and a number of primary schools do not hold daily religious assemblies? Therefore, in spite of what the Minister says, they are breaking the law. Will he agree, first, that the main reason for this situation is that there is inadequate space in many schools to hold such assemblies? Secondly, does he accept that there is also a legitimate reluctance on the part of many teachers to participate in such assemblies? And, thirdly, is he aware that the faith of many pupils in this country these days does not permit them to take part in such assemblies, which have to be of a mainly Christian character? How can the Government tolerate such a situation? Is not reform long overdue?

# Someone pasted data records at this point
-- begin --
For La6Pr16Ho7, a PBE-relaxed structure gives the theoretical PXRD pattern in this record (Cu Kα).

The 6 most intense peaks (2θ from 5° to 70°), in order of falling intensity:
two_theta  I (rel.)
31.31  100
28.71  26
55.74  20
44.87  12
42.99  11
27.03  9

Crystal structure
a = 16.1592 Å, b = 16.1592 Å, c = 16.1592 Å
α = 90.00°, β = 90.00°, γ = 90.00°
Space group Fm-3m (No. 225)
Asymmetric unit:
La (0.0000, 0.0000, 0.2084) [24 per cell]
Pr (0.1226, 0.1226, 0.3774) [32 per cell]
Pr (0.1541, 0.1541, 0.1541) [32 per cell]
Ho (0.0000, 0.0000, 0.5000) [4 per cell]
Ho (0.0000, 0.2500, 0.2500) [24 per cell]

---

For Sm2O3, a PBE-relaxed structure gives the theoretical PXRD pattern in this record (Cu Kα).

The 6 most intense peaks (2θ from 5° to 70°), in order of falling intensity:
two_theta  I (rel.)
31.01  100
47.94  31
27.13  28
29.72  28
53.56  28
57.43  27

Crystal structure
a = 3.7954 Å, b = 3.7954 Å, c = 6.0117 Å
α = 90.00°, β = 90.00°, γ = 120.00°
Space group P-3m1 (No. 164)
Asymmetric unit:
Sm (0.3333, 0.6667, 0.2492) [2 per cell]
O (0.0000, 0.0000, 0.0000) [1 per cell]
O (0.3333, 0.6667, 0.6450) [2 per cell]

---

For PmEr5Ga6, a PBE-relaxed structure gives the theoretical PXRD pattern in this record (Cu Kα).

The 6 most intense peaks (2θ from 5° to 70°), in order of falling intensity:
two_theta  I (rel.)
35.67  100
64.07  36
51.33  18
25.01  18
57.93  7
44.06  5

Crystal structure
a = 5.0349 Å, b = 15.1100 Å, c = 7.1154 Å
α = 90.00°, β = 90.00°, γ = 90.00°
Space group Cmmm (No. 65)
Asymmetric unit:
Pm (0.0000, 0.0000, 0.0000) [2 per cell]
Er (0.0000, 0.0000, 0.5000) [2 per cell]
Er (0.0000, 0.3324, 0.0000) [4 per cell]
Er (0.0000, 0.3359, 0.5000) [4 per cell]
Ga (0.0000, 0.1696, 0.2552) [8 per cell]
Ga (0.0000, 0.5000, 0.2545) [4 per cell]

* * * * *

Starting from a PBE-relaxed structure, the powder X-ray diffraction pattern of SnPd5Au was simulated for CuKα.
Neutral-atom scattering factors, no anomalous dispersion.

Structural model:
```
data_SnPd5Au
_symmetry_space_group_name_H-M 'P 4/m m m'
_symmetry_Int_Tables_number 123
_symmetry_space_group_name_Hall '-P 4 2'
_cell_length_a 3.9809
_cell_length_b 3.9809
_cell_length_c 7.7466
_cell_angle_alpha 90.00
_cell_angle_beta 90.00
_cell_angle_gamma 90.00
loop_
_atom_site_label
_atom_site_type_symbol
_atom_site_fract_x
_atom_site_fract_y
_atom_site_fract_z
Sn1 Sn 0.0000 0.0000 0.0000
Pd1 Pd 0.0000 0.0000 0.5000
Pd2 Pd 0.0000 0.5000 0.2336
Au1 Au 0.5000 0.5000 0.5000
```

The 12 most intense peaks (2θ from 10° to 90°), in order of rising 2θ:
- hkl 0 0 1, 2θ = 11.42°, I 129
- hkl 1 0 1, 2θ = 25.15°, I 196
- hkl 1 1 1, 2θ = 33.88°, I 111
- hkl 1 1 2, 2θ = 39.58°, I 1000
- hkl 2 0 0, 2θ = 45.57°, I 341
- hkl 0 0 4, 2θ = 46.91°, I 144
- hkl 2 1 1, 2θ = 52.76°, I 56
- hkl 2 2 0, 2θ = 66.42°, I 110
- hkl 2 0 4, 2θ = 67.48°, I 193
- hkl 3 1 2, 2θ = 80.17°, I 256
- hkl 1 1 6, 2θ = 82.13°, I 102
- hkl 2 2 4, 2θ = 85.24°, I 105

* * * * *

No. 1
-- stop --

Lord Lucas

My Lords, to answer broadly the noble Lord's latter questions, there is a great deal of flexibility which will accommodate all those problems. In relation to the earlier matter, in the past few years we have seen around five schools which were not performing properly in this area. All those situations were resolved.

The Lord Bishop of Ripon

My Lords, is the Minister aware that the General Synod Board of Education—a policy-making body of the Church of England—is not at this moment pressing for a change in the law although it is consulting widely on the issue? In view of what the Minister said regarding the significance of the act of collective worship in pupils' spiritual and moral development, does he agree that ill-prepared and ill-conducted acts of worship are not conducive to those aims? Will he further accept that training is necessary for heads, for members of staff, and for those who visit schools to conduct such acts of worship, and that therefore the resources for such training should be found?

Lord Lucas

My Lords, to continue my practice of answering the last question first, we believe that perhaps the best way of approaching the issue is for schools to involve local professionals in this job. With regard to the other remarks made by the right reverend Prelate, we shall look with interest at any decisions which the Church may reach.

The article is interrupted by data records:
-- begin --
This entry pairs a crystal structure of CaRhBr6 with its calculated powder diffraction line list. Radiation: CuKα. Structure: a structure optimized by DFT (GGA-PBE).

Cell and atoms:
```
data_CaRhBr6
_symmetry_space_group_name_H-M 'P 1'
_symmetry_Int_Tables_number 1
_cell_length_a 7.130
_cell_length_b 7.130
_cell_length_c 7.130
_cell_angle_alpha 56.11
_cell_angle_beta 56.11
_cell_angle_gamma 56.11
loop_
_symmetry_equiv_pos_as_xyz
'x,y,z'
loop_
_atom_site_label
_atom_site_type_symbol
_atom_site_fract_x
_atom_site_fract_y
_atom_site_fract_z
Ca1 Ca 0.000 0.000 0.000
Rh1 Rh 0.500 0.500 0.500
Br1 Br 0.097 0.712 0.455
Br2 Br 0.288 0.545 0.903
Br3 Br 0.455 0.097 0.712
Br4 Br 0.545 0.903 0.288
Br5 Br 0.712 0.455 0.097
Br6 Br 0.903 0.288 0.545
```

Peak list (6 most intense, 10 to 90 degrees two-theta, in order of falling intensity)
| 2θ/deg | d/Å | intensity |
| --- | --- | --- |
| 30.55 | 2.926 | 1000 |
| 40.39 | 2.233 | 422 |
| 46.93 | 1.936 | 283 |
| 16.04 | 5.527 | 232 |
| 53.42 | 1.715 | 212 |
| 18.19 | 4.877 | 209 |

---

This entry pairs a crystal structure of Ca4SbBr5 with its calculated powder diffraction line list. Radiation: CuKα. Structure: a structure optimized by DFT (GGA-PBE).

Cell and atoms:
```
data_Ca4SbBr5
_symmetry_space_group_name_H-M 'P 1'
_symmetry_Int_Tables_number 1
_cell_length_a 9.644
_cell_length_b 9.644
_cell_length_c 8.673
_cell_angle_alpha 104.33
_cell_angle_beta 104.33
_cell_angle_gamma 26.26
loop_
_symmetry_equiv_pos_as_xyz
'x,y,z'
loop_
_atom_site_label
_atom_site_type_symbol
_atom_site_fract_x
_atom_site_fract_y
_atom_site_fract_z
Ca1 Ca 0.003 0.003 0.248
Ca2 Ca 0.332 0.332 0.890
Ca3 Ca 0.668 0.668 0.110
Ca4 Ca 0.997 0.997 0.752
Sb1 Sb 0.500 0.500 0.000
Br1 Br 0.167 0.167 0.332
Br2 Br 0.170 0.170 0.866
Br3 Br 0.500 0.500 0.500
Br4 Br 0.830 0.830 0.134
Br5 Br 0.833 0.833 0.668
```

Peak list (6 most intense, 10 to 90 degrees two-theta, in order of falling intensity)
| 2θ/deg | d/Å | intensity |
| --- | --- | --- |
| 28.97 | 3.082 | 1000 |
| 29.50 | 3.028 | 498 |
| 25.09 | 3.550 | 397 |
| 41.45 | 2.178 | 374 |
| 42.20 | 2.142 | 336 |
| 10.55 | 8.389 | 212 |

=====

YRe2PbO8: computed powder XRD pattern (Cu Kα X-rays), based on the GGA-PBE geometry in Alexandria.
Intensities are scaled so that the largest is 100.

Structural model:
Cell lengths 6.031, 6.031, 7.139 Å; angles 90.00, 90.00, 120.00 degrees
Sites, in units of the cell vectors:
Y: 0.000 0.000 0.000
Re: 0.333 0.667 0.279
Re: 0.667 0.333 0.721
Pb: 0.000 0.000 0.500
O: 0.165 0.329 0.206
O: 0.165 0.835 0.206
O: 0.329 0.165 0.794
O: 0.333 0.667 0.528
O: 0.667 0.333 0.472
O: 0.671 0.835 0.206
O: 0.835 0.165 0.794
O: 0.835 0.671 0.794
-- stop --

Lord Avebury

My Lords, I agree entirely with the Minister on the need for the spiritual and moral development of pupils in our schools. However, does he not consider it a violation of the United Kingdom's obligations under the International Covenant on Civil and Political Rights to impose an act of predominantly Christian worship on schools where most of the children are Moslem, Hindu or Sikh?

Lord Lucas

My Lords, we do no such thing. The rules allow a great deal of flexibility to a school. If it finds itself in the situation where the majority of its pupils, or even a substantial minority of its pupils, are not of the Christian faith, it has the ability to adapt its worship appropriately.

Lord Quirk

My Lords, would the Minister not agree that, despite what has been said about policy in this country, the limits of bleak 19th century materialism have been starkly exposed in recent years? Would he not further agree that pupils in schools have never been in greater need of being shown the values of spiritual and moral aspects of life and what Rudolf Otto once referred to as, the human response to the mysterium tremendum"? In that connection, I wonder whether I might ask the Minister to take note of a publication which was written by Clive Andrews a few months ago on behalf of city technology colleges which—with all their emphasis on science and a skills-based curriculum—have nonetheless insisted on an enthusiastic presentation of the spiritual values.

Lord Lucas

My Lords, I am very pleased to hear what the noble Lord says.

Lord Renton

My Lords, is my noble friend aware that the present law was decided on after full discussion in both Houses of Parliament only a few years ago and that no general opinion has formed so far expressing a desire or need for it to be changed?

Lord Lucas

_Unrelated to this text: materials data_
1.
# CsK2Rb7
Computed X-ray powder pattern, Cu Kα (weighted mean of Kα1 and Kα2). Input: a DFT-relaxed cell (PBE, Alexandria).
Peak positions follow from Bragg's law for the DFT cell and can differ from measured ones.

Structural model:
```
data_CsK2Rb7
_chemical_formula_sum 'Cs1 K2 Rb7'
_symmetry_space_group_name_H-M 'P 3 m 1'
_symmetry_Int_Tables_number 156
_cell_length_a 7.8896
_cell_length_b 7.8896
_cell_length_c 17.1660
_cell_angle_alpha 90.00
_cell_angle_beta 90.00
_cell_angle_gamma 120.00
loop_
_symmetry_equiv_pos_as_xyz
'x,y,z'
'-y,x-y,z'
'-x+y,-x,z'
'-y,-x,z'
'-x+y,y,z'
'x,x-y,z'
loop_
_atom_site_label
_atom_site_type_symbol
_atom_site_fract_x
_atom_site_fract_y
_atom_site_fract_z
Cs1 Cs 0.0000 0.0000 0.0000
K1 K 0.3333 0.6667 0.8119
K2 K 0.6667 0.3333 0.4290
Rb1 Rb 0.0000 0.0000 0.3319
Rb2 Rb 0.0000 0.0000 0.6545
Rb3 Rb 0.3333 0.6667 0.1591
Rb4 Rb 0.3333 0.6667 0.5034
Rb5 Rb 0.6667 0.3333 0.1834
Rb6 Rb 0.6667 0.3333 0.6749
Rb7 Rb 0.6667 0.3333 0.9231
```

Top 8 peaks for 5° ≤ 2θ ≤ 70°, in order of rising 2θ:
20.24°, rel. 78, (0 1 3)
22.54°, rel. 100, (1 1 0)
24.49°, rel. 23, (1 0 4)
30.47°, rel. 28, (2 0 3)
38.24°, rel. 30, (1 2 3)
38.89°, rel. 19, (1 1 6)
39.57°, rel. 22, (3 0 0)
46.02°, rel. 14, (2 2 0)



2.
# La3TbPt2
Computed X-ray powder pattern, Cu Kα (weighted mean of Kα1 and Kα2). Input: a DFT-relaxed cell (PBE, Alexandria).
Peak positions follow from Bragg's law for the DFT cell and can differ from measured ones.

Structural model:
```
data_La3TbPt2
_chemical_formula_sum 'La3 Tb1 Pt2'
_symmetry_space_group_name_H-M 'P -1'
_symmetry_Int_Tables_number 2
_cell_length_a 4.765
_cell_length_b 4.829
_cell_length_c 8.191
_cell_angle_alpha 73.40
_cell_angle_beta 74.21
_cell_angle_gamma 89.89
loop_
_symmetry_equiv_pos_as_xyz
'x,y,z'
'-x,-y,-z'
loop_
_atom_site_label
_atom_site_type_symbol
_atom_site_fract_x
_atom_site_fract_y
_atom_site_fract_z
La1 La 0.000 0.000 0.000
La2 La 0.192 0.692 0.623
Tb1 Tb 0.500 0.500 0.000
Pt1 Pt 0.396 0.891 0.254
```

Top 8 peaks for 5° ≤ 2θ ≤ 70°, in order of rising 2θ:
26.28°, rel. 71, (1 -1 0)
29.10°, rel. 75, (1 1 2)
34.93°, rel. 80, (0 1 -2)
35.24°, rel. 87, (1 1 -1)
35.54°, rel. 83, (-1 1 2)
35.79°, rel. 90, (1 -1 2)
37.24°, rel. 100, (0 2 1)
37.77°, rel. 95, (2 0 1)


Na3Co2H9: calculated X-ray powder pattern (Cu Kα X-rays), based on a DFT-relaxed cell (PBE, Alexandria).
No peak broadening, texture or thermal motion is included.

Cell and atoms:
```
28
Lattice="4.134 2.387 4.585 -4.134 2.387 4.585 0.000 -4.773 4.585" Properties=species:S:1:pos:R:3 pbc="T T T"
Na -2.729 0.047 5.732
Na -1.405 -2.340 8.024
Na 1.324 -2.387 5.732
Na -1.324 2.387 8.024
Na 1.405 2.340 5.732
Na 2.729 -0.047 8.024
Co 0.000 0.000 2.339
Co 0.000 0.000 4.539
Co 0.000 0.000 9.217
Co 0.000 0.000 11.417
H -3.565 -1.405 7.809
H -1.275 0.000 3.439
H -0.566 -3.790 5.947
H -2.999 2.385 5.947
H 0.638 -1.105 3.439
H -0.566 -0.984 5.516
H -0.569 0.982 5.516
H 0.638 1.105 3.439
H -1.135 -0.002 8.240
H 1.135 0.002 5.516

Yes, my Lords.

Lord Jenkins of Putney

My Lords, it is understandable that the established Church should be in favour of the present situation. But is it not the case that the established Church is not now the Church of the majority of the people of this country? Therefore, if one were to consult not only the established Church but also people who attend other churches or do not go to church at all, might one not get a different answer?

Lord Lucas

My Lords, as my noble friend said so well a moment ago, we discussed this matter at length quite recently. I believe that we should stand by our decision at that time.

The Earl of Gowrie

My Lords, is my noble friend aware that, whatever one's faith, denomination or background, one cannot understand the culture of the English, at least, without reading the Bible in the King James version?

Lord Lucas

My Lords, my father would have agreed with that.

Lord Peston

My Lords, this is really not the time for what would be an extremely fascinating debate on all these matters. But did I misunderstand the noble Lord? Did he say that only five schools are failing to comply with the legislation? The overwhelming evidence is that between 40 and 90 per cent. of schools are not complying with the legislation. Does the noble Lord's department believe that only five schools are not complying because it has asked only five schools? It is quite a serious matter.

Lord Lucas

My Lords, the mechanism by which these matters come to our notice is that if parents are dissatisfied with the worship in schools they bring that to the attention of the governors. If parents are dissatisfied with what the governors propose, the parents can bring that to the attention of the LEA. Only if that stage fails does it come to our notice.

Lord Dormand of Easington

My Lords, perhaps I may—

Lord Strathclyde

My Lords, I am aware that there are still two very interesting Questions to come. Perhaps we should go on to the next one.